Episode 2: OR/AND


In this episode, we’ll meet two more of The Great Gates: the AND gate and the OR gate. While the NOT gate from Episode 1 took one input and produced one output, both the AND gate and the OR gate each take two inputs and produce one output. Each of these two new gates will have three different representations:

  1. a logic diagram symbol,
  2. a truth table, and
  3. a Boolean expression.


Play with the AND gate and the OR gate by clicking on the inputs in the logic diagrams below (remember: our inputs are on the left and our outputs are on the right) and consider the following questions:

Attached: calculated molecules.
+++
This record from the Open Molecules 2025 dataset describes CaH4N4O14 as an isolated structure at a distorted geometry. The level of theory is the ωB97M-V functional and the def2-TZVPD basis.

XYZ file:
```
23
Properties=species:S:1:pos:R:3:mulliken_charge:R:1
Ca 0.05869 -0.21252 -0.04147 2.27
O -2.06806 0.62974 0.06432 -0.61
O 0.52507 0.21491 -4.33676 -0.60
O -0.31806 -1.08801 2.06459 -0.71
O 0.32004 2.12386 0.57046 -0.49
O -1.02803 1.51631 -3.67598 -0.61
O -3.95212 0.94617 1.12356 -0.63
O -0.42623 -2.28774 3.86637 -0.63
O 3.64158 1.24475 1.20779 -0.61
O 0.25209 0.61477 -2.17478 -0.58
O 2.49823 -0.32085 0.25877 -0.66
O 4.29394 0.48785 -0.70776 -0.62
O -3.69674 -0.79688 -0.11248 -0.64
O -0.41853 -2.32389 -1.05931 -0.56
O 0.98260 -0.66094 3.75236 -0.61
N -0.04671 0.78714 -3.38170 0.70
N -3.24175 0.26726 0.36281 0.88
N 0.08311 -1.33491 3.25522 0.85
N 3.47310 0.49683 0.22977 0.87
H -0.69184 -3.13184 -0.61307 0.25
H 0.46682 2.64788 1.36208 0.23
H -0.51236 -2.51128 -1.99917 0.24
H -0.19484 2.69141 -0.01564 0.27
```

Orbital gap, Ha: 0.29205
ΔE to the lowest compared entry with this formula, charge and spin, kJ/mol: 0.0
Highest occupied orbital energy, eV: -3.244
Charge: -2
E_LUMO, eV: 4.70

---

This record from the Open Molecules 2025 dataset describes Cd3N4O12 as an isolated structure at a distorted geometry. The level of theory is the ωB97M-V functional and the def2-TZVPD basis.

XYZ file:
```
19
Properties=species:S:1:pos:R:3:mulliken_spin:R:1
Cd 0.50977 3.23488 0.60475 -0.05
Cd 1.04381 -2.27341 -1.06572 0.00
Cd -4.28616 0.53425 -0.72081 -1.00
O -0.65226 4.33288 3.90311 0.09
O -0.65987 -3.00345 -5.01185 0.19
O 1.42457 -0.32766 2.60158 0.02
O 1.39230 -1.50054 0.79024 0.00
O -2.10973 0.26396 -0.04185 0.08
O 2.69092 -1.99897 2.35021 0.01
O 0.12827 2.27028 3.93266 0.79
O -0.13636 1.19589 0.01711 -0.02
O 1.31463 -2.26578 -5.39950 0.70
O 0.34459 -2.08347 -3.52491 0.15
O -1.11440 2.68691 2.31877 0.15
O -0.57578 -0.66482 -1.12677 -0.04
N -0.86092 0.16787 -0.28331 0.00
N -0.56811 3.16284 3.39111 -0.04
N 0.29739 -2.45039 -4.67482 -0.04
N 1.81728 -1.28120 1.93992 0.00
```

Orbital gap (spin up / spin down), Ha: 0.12503 / 0.11516
Highest occupied orbital energy (spin up / spin down), eV: -18.246 / -18.034
2S+1: 2
Charge: +3
E_LUMO (spin up / spin down), eV: -14.84 / -14.90

---

This record from the Open Molecules 2025 dataset describes CdCl5O20 as an isolated structure at a distorted geometry. The level of theory is the ωB97M-V functional and the def2-TZVPD basis.

XYZ file:
```
26
Properties=species:S:1:pos:R:3:mulliken_charge:R:1
Cd -1.39437 0.13407 0.25853 1.88
Cl -3.75790 -1.07123 -0.82041 1.64
Cl 1.32512 0.56929 -2.44668 1.58
Cl 2.21422 -0.00068 2.28117 1.51
Cl -0.13396 3.34080 0.86409 1.48
Cl 0.60334 -2.87685 0.09635 1.54
O -2.69063 -1.52743 -1.70757 -0.48
O 0.33987 -3.70807 -1.12438 -0.70
O 3.30038 -0.24468 1.29849 -0.63
O 0.62649 -3.76127 1.29450 -0.65
O -0.48802 -1.90134 0.17657 -0.68
O 0.91347 -0.04460 1.49069 -0.77
O 1.52842 2.00332 -2.81136 -0.66
+++
The calculated molecules stop here.

  1. What is the same about the symbols representing AND and OR and what is different?
  2. For each of these gates, what happens to the output as you change the inputs How would you organize this information in a truth table? How many rows should it have?
  3. How would the truth table for AND be the same as or different from the truth table for OR?



Attached: molecular data:
+++
{
  "formula": "C53H53AsBCdF6N9OS2",
  "method": "ωB97M-V/def2-TZVPD",
  "symbols": ["Cd", "C", "C", "C", "C", "N", "N", "B", "N", "N", "C", "C", "C", "C", "C", "C", "C", "C", "C", "C", "N", "N", "C", "C", "C", "C", "C", "C", "C", "C", "C", "C", "C", "C", "C", "C", "C", "C", "H", "H", "H", "H", "H", "H", "H", "H", "H", "H", "H", "H", "H", "H", "H", "H", "H", "H", "H", "H", "H", "H", "H", "H", "H", "H", "H", "H", "C", "C", "C", "N", "C", "S", "N", "C", "O", "C", "C", "C", "C", "C", "C", "H", "H", "H", "H", "H", "H", "H", "H", "H", "H", "H", "H", "H", "H", "F", "As", "F", "F", "F", "F", "F", "N", "S", "C", "C", "C", "C", "C", "C", "C", "C", "C", "C", "C", "C", "H", "H", "H", "H", "H", "H", "H", "H", "H", "H", "H"],
+++





You probably noticed that in order for the output of the AND gate to be 1, both inputs had to be 1. We’ll fill in this information in the truth tables below.

Recall from Episode 1 that we used the Boolean expression A’ to represent NOT A. The AND gate haas two inputs, so we will call one of them A and the other one B. The Boolean expression to represent A AND B is:

$A \cdot B$.

Notice that the Boolean expression for A AND B looks an awful lot like the familiar-looking algebraic expression $A \times B$; the product of two variables. This is not a coincidence! The AND gate and the multiplication operation have some things in common, which we will see in the truth tables below and again later as part of a system called Boolean algebra.

In the following exercise, we’ll need to type answers like “A AND B“. We can type this in three different ways:

  1. A and B (“and” must be lower case),
  2. A*B (the usual Boolean representation, which looks like $A \cdot B$), or
  3. AB (if A and B were regular algebraic variables like the ones you see in your math class, AB would mean A times B… the Boolean algebra version of times works the same way).


You probably noticed when you played with the logic diagram above that in order for the output of the OR gate to be 1, either one input or the other input (or both inputs) had to be 1.

The Boolean expression to represent A OR B is:


Notice that the Boolean expression for A AND B looks an awful lot like the familiar-looking algebraic expression for the sum of two variables. This is also not a coincidence! The OR gate and the addition operation have some things in common, which we’ll see in the truth tables below.

In the following exercise, we’ll need to type answers like “A OR B“. We can type this in two different ways:

  1. A or B (“or” must be lower case), or
  2. A+B (the usual Boolean representation).


Now you’ve learned 3 representations (diagram symbol, truth table, and Boolean expression) of 3 different logic gates (NOT, AND, and OR). This means you’ve learned 9 different representations! Check which representations you remember by playing the flashcard game below.